
Thursday, April 3, 2014

Adding height to a table

Good morning everyone !

Let's see how many ways we can change a table lol

Most of you have seen the photo of my little farmhouse table - for those that haven't here's a pic
( you can see more photos of it here )

Here the page breaks off for calculated crystals:
<<<
# Nd4B3SbRh12
Calculated PXRD pattern, λ = 1.5418 Å (Cu Kα). Input: the GGA-PBE geometry in Alexandria.
Lines closer than 0.1° are merged.

Crystal structure
a b c (Å): 7.6281 7.6281 7.6281
angles (deg): 109.47 109.47 109.47
Fractional positions:
1 Nd 0.0000 0.0000 0.5000
2 Nd 0.0000 0.5000 0.0000
3 Nd 0.5000 0.0000 0.0000
4 Nd 0.5000 0.5000 0.5000
5 B 0.0000 0.5000 0.5000
6 B 0.5000 0.0000 0.5000
7 B 0.5000 0.5000 0.0000
8 Sb 0.0000 0.0000 0.0000
9 Rh 0.0000 0.2782 0.2782
10 Rh 0.0000 0.7218 0.7218
11 Rh 0.2500 0.5000 0.7500
12 Rh 0.2500 0.7500 0.5000
13 Rh 0.2782 0.0000 0.2782
14 Rh 0.2782 0.2782 0.0000
15 Rh 0.5000 0.2500 0.7500
16 Rh 0.5000 0.7500 0.2500
17 Rh 0.7218 0.0000 0.7218
18 Rh 0.7218 0.7218 0.0000
19 Rh 0.7500 0.2500 0.5000
20 Rh 0.7500 0.5000 0.2500

Most intense lines, 10° ≤ 2θ ≤ 90°, sorted by position:
| 2θ/deg | I_rel |
| --- | --- |
| 28.67 | 100 |
| 32.14 | 47 |
| 35.30 | 1000 |
| 38.23 | 67 |
| 40.99 | 671 |
| 48.48 | 51 |
| 59.35 | 421 |
| 70.98 | 339 |
| 74.66 | 133 |
| 88.88 | 64 |

***

# SrPaSbO6
Calculated PXRD pattern, λ = 1.5418 Å (Cu Kα). Input: the GGA-PBE geometry in Alexandria.
Lines closer than 0.1° are merged.

Crystal structure
a b c (Å): 5.6609 5.6609 10.5777
angles (deg): 90.00 90.00 120.00
Fractional positions:
1 Sr 0.0000 0.0000 0.0000
2 Sr 0.0000 0.0000 0.5000
3 Pa 0.3333 0.6667 0.2500
4 Pa 0.6667 0.3333 0.7500
5 Sb 0.3333 0.6667 0.7500
6 Sb 0.6667 0.3333 0.2500
7 O 0.0239 0.3802 0.6449
8 O 0.0239 0.6437 0.8551
9 O 0.3563 0.3802 0.8551
10 O 0.3563 0.9761 0.6449
11 O 0.3802 0.0239 0.1449
12 O 0.3802 0.3563 0.3551
13 O 0.6198 0.6437 0.6449
14 O 0.6198 0.9761 0.8551
15 O 0.6437 0.0239 0.3551
16 O 0.6437 0.6198 0.1449
17 O 0.9761 0.3563 0.1449
18 O 0.9761 0.6198 0.3551

Most intense lines, 10° ≤ 2θ ≤ 90°, sorted by position:
| 2θ/deg | I_rel |
| --- | --- |
| 16.76 | 478 |
| 18.09 | 140 |
| 19.96 | 153 |
| 24.76 | 1000 |
| 31.61 | 573 |
| 35.99 | 364 |
| 40.56 | 255 |
| 47.03 | 573 |
| 52.31 | 256 |
| 56.30 | 189 |

***

# Ti2BiF
Calculated PXRD pattern, λ = 1.5418 Å (Cu Kα). Input: the GGA-PBE geometry in Alexandria.
Lines closer than 0.1° are merged.

Crystal structure
a b c (Å): 4.6574 4.6574 4.6574
angles (deg): 60.00 60.00 60.00
Fractional positions:
1 Ti 0.2500 0.2500 0.2500
2 Ti 0.7500 0.7500 0.7500
3 Bi 0.0000 0.0000 0.0000
4 F 0.5000 0.5000 0.5000

Most intense lines, 10° ≤ 2θ ≤ 90°, sorted by position:
| 2θ/deg | I_rel |
| --- | --- |
| 23.39 | 799 |
| 27.08 | 206 |
| 38.67 | 1000 |
| 45.68 | 439 |
| 55.83 | 167 |
| 61.35 | 191 |
| 69.97 | 334 |
| 74.92 | 149 |
| 82.92 | 106 |
| 87.65 | 160 |

***

# Ge2AsRh5
Calculated PXRD pattern, λ = 1.5418 Å (Cu Kα). Input: the GGA-PBE geometry in Alexandria.
Lines closer than 0.1° are merged.

Crystal structure
a b c (Å): 5.6352 10.7325 3.8994
angles (deg): 90.00 90.00 90.00
Fractional positions:
1 Ge 0.0800 0.1596 0.0000
2 Ge 0.4200 0.6596 0.0000
3 Ge 0.5800 0.3404 0.0000
4 Ge 0.9200 0.8404 0.0000
5 As 0.0000 0.5000 0.5000
6 As 0.5000 0.0000 0.5000
>>>
So much for the calculated crystals:

It's the perfect little farmhouse table for this reason

it " flips " open to double it's size easily accommodating 6 people !

last winter I had John put a little shelf on the bottom - because I'm always about storage ( I've never lived in a big enough house where that wasn't an issue - NEVER ) you can see that post here

Then I added a  rack to it to hang my cutting board - towel - oven mitts - whatever ( dangling basket perhaps? )

Now as a table it's perfect -
But it's centered in the middle of the kitchen in this house - and it should be counter height because of that little fact.

Next to the page, the page also holds calculated crystals:
For Ca6Al3Si8N18, a structure optimized by DFT (PBE) gives the computed X-ray diffraction stick pattern in this record (λ = 1.5418 Å (Cu Kα)).
No peak broadening, texture or thermal motion is included.

Peak list (12 most intense, 2θ = 15–90°, sorted by position)
31.45 deg, d 2.844, I = 78.5; 31.93 deg, d 2.803, I = 47.8; 35.34 deg, d 2.540, I = 100.0; 35.98 deg, d 2.496, I = 41.0; 36.13 deg, d 2.486, I = 35.7; 36.32 deg, d 2.474, I = 79.6; 36.53 deg, d 2.460, I = 22.9; 36.71 deg, d 2.448, I = 22.9; 36.82 deg, d 2.441, I = 24.6; 48.20 deg, d 1.888, I = 18.1; 55.68 deg, d 1.651, I = 19.9; 56.64 deg, d 1.625, I = 16.1

Cell and atoms:
```
Ca6Al3Si8N18
1.0
7.5863 0.0000 0.0000
1.2998 7.4771 0.0000
1.3795 0.9598 7.4590
Ca Al Si N
6 3 8 18
Direct
0.0000 0.0000 0.0000
0.0244 0.0444 0.4323
0.3125 0.3365 0.3381
0.3401 0.3296 0.7545
0.5690 0.7099 0.7135
0.6823 0.7159 0.1004
0.6522 0.3225 0.0476
0.7009 0.3907 0.4306
0.9695 0.6684 0.3860
0.0303 0.4031 0.0876
0.0508 0.7174 0.7572
0.2885 0.6663 0.0477
0.3547 0.7381 0.4188
0.3861 0.0504 0.0860
0.6341 0.0040 0.3752
0.7020 0.0623 0.7580
0.9404 0.3639 0.7103
0.0202 0.4883 0.8545
0.1128 0.5593 0.1879
0.1237 0.2436 0.5941
0.1280 0.7322 0.5240
0.1764 0.1956 0.1086
0.2079 0.7772 0.8617
0.3391 0.8246 0.1825
0.4589 0.8932 0.4814
0.4707 0.5234 0.4607
0.4839 0.5207 0.9923
0.4893 0.0404 0.8702
0.5405 0.1335 0.1924
0.6901 0.1426 0.5263
0.7914 0.2280 0.8439
0.8090 0.3883 0.1870
0.8336 0.8754 0.2889
0.8367 0.5072 0.5477
0.8387 0.8534 0.7958
```

* * * * *

Starting from the GGA-PBE geometry in Alexandria, the X-ray powder pattern of Sm2Ga5Co2Cu was calculated for copper Kα.

Largest 12 diffraction maxima, low angle first, 2θ = 10–90°:
| two_theta | I_rel | hkl |
| --- | --- | --- |
| 29.8 | 20 | 2 0 1 |
| 31.3 | 38 | 2 1 1 |
| 35.4 | 45 | 2 2 1 |
| 38.0 | 100 | 3 1 1 |
| 39.3 | 72 | 4 1 0 |
| 40.5 | 23 | 3 3 0 |
| 41.6 | 50 | 3 2 1 |
| 46.8 | 34 | 0 0 2 |
| 62.7 | 36 | 4 1 2 |
| 63.6 | 12 | 3 3 2 |
| 64.6 | 14 | 6 1 1 |
| 67.9 | 10 | 5 4 1 |

Cell and atoms:
```
data_Sm2Ga5Co2Cu
_chemical_formula_sum 'Sm4 Ga10 Co4 Cu2'
_cell_length_a 9.4530
_cell_length_b 9.4530
_cell_length_c 3.8805
_cell_angle_alpha 90.00
_cell_angle_beta 90.00
_cell_angle_gamma 90.00
_symmetry_space_group_name_H-M 'P 4/m b m'
_symmetry_Int_Tables_number 127
_symmetry_space_group_name_Hall '-P 4 2ab'
loop_
_atom_site_label
_atom_site_type_symbol
_atom_site_fract_x
_atom_site_fract_y
_atom_site_fract_z
Sm1 Sm 0.1858 0.3142 0.0000
Ga1 Ga 0.0000 0.5000 0.5000
Ga2 Ga 0.0551 0.7959 0.5000
Co1 Co 0.1105 0.6105 0.0000
Cu1 Cu 0.0000 0.0000 0.0000
```


Starting from the GGA-PBE geometry in Alexandria, the X-ray powder pattern of ThGa2Co2Cu was calculated for copper Kα.

Largest 12 diffraction maxima, low angle first, 2θ = 10–90°:
| two_theta | I_rel | hkl |
| --- | --- | --- |
| 20.1 | 33 | 1 0 0 |
| 26.0 | 20 | 1 0 1 |
| 28.6 | 39 | 1 1 0 |
| 33.0 | 100 | 1 1 1 |
| 38.9 | 76 | 1 0 2 |
| 40.8 | 65 | 2 0 0 |
| 53.4 | 21 | 2 0 2 |
| 57.7 | 47 | 2 1 2 |

John says- I'm on my way to Home Depot -
Suzan says - Oh!  If you're going there can you pick me up some casters?
John says - for what?
Suzan says - the kitchen table - it's too low for the kitchen - I want to give it some height and casters would be perfect
John says- Oh my God - what else can you add to that table?
John says - It's an ANTIQUE - you're taking away any value by constantly adding to it...........

Suzan says - Well there's value - and then there's personal taste - and sometimes the 2 clash
Suzan says - that's ok - we overpaid for this anyway
Suzan says - I was thinking of adding an umbrella to it - one of those outdoor ones - what do you................

too late - he stormed out -


I drilled holes in the bottom of the legs - and placed inserts ( where the stem of the wheel slides into)

and voila - it's now counter height - which is exactly what I needed - the great thing is the wheels can slide in and out if I change my mind!

A huge thank you to Chania from RAZMATAZ for being the first to suggest it - a lot of you did but she was the first :)

" islands in the stream - that is what we are ♪♫♫  ( oh come on - most of you were waiting for that :)

I'm on the look out for 2 old rustic stools - ( I have a friend that has 2 that I'd give anything to have - hmmm wonder if she needs a dresser - since I have an abundance of them lol - a little switcheroo )

I'll be working on the kitchen ceiling today - isn't that just about as exciting as life can get?

Have a great Thursday all !
Much love,

Party Time !!! ( click on links to see some inspiration !!! )

Common Ground                              Miss Mustard Seed                     Remodelaholic
Between Naps on the Porch               Coastal Charm                           Knick of Time
Savvy Southern Style                        My Romantic Home                   The Shabby Nest
Tatertots and Jello                            Funky Junk Interiors
Be Different - Act Normal


  1. Well first of all, the shelf was brilliant. And those castors truly turn it into a useful island. The only island song I know involves a professor, Mary Ann, and a three hour tour. Have a wonderful Thursday on the ceiling, Suzan.

  2. I love it! We put casters on everything in this place!!! They are the answer to many issues,

  3. Thank you for solving my problem!! xox

  4. I had no idea your island table has a flip top. That is really cool and so practical too. I love it. I had a solid oak (antique) table in our kitchen as an island but since we renovated the kitchen there is no room for it. :( It's in our bedroom and I'm dying to get it out again but just don't have the space anywhere else. :( :( And I wish it was painted old white! It was originally painted green (it was my grandmother's) and I had it professionally stripped and refinished to it's natural oak (a la 1970's that you were speaking of the other day!). lol C'est la vie.

**Crystal structures, kept here for reference**
The following is a simulated X-ray powder pattern of RbCeInCl6. It was derived from a DFT-relaxed cell (PBE, Alexandria), using Cu Kα, 1.54184 Å.

Structural model:
Cell lengths 7.0735, 7.0735, 13.6807 Å; angles 90.00, 90.00, 90.00 degrees
Atoms (fractional coordinates):
Rb (0.0000, 0.0000, 0.0000)
Rb (0.5000, 0.5000, 0.5000)
Ce (0.0000, 0.0000, 0.6633)
Ce (0.5000, 0.5000, 0.1633)
In (0.0000, 0.0000, 0.3316)
In (0.5000, 0.5000, 0.8316)
Cl (0.1737, 0.1737, 0.5151)
Cl (0.1890, 0.1890, 0.7993)
Cl (0.2358, 0.2358, 0.1708)
Cl (0.2642, 0.7358, 0.6708)
Cl (0.3110, 0.6890, 0.2993)
Cl (0.3263, 0.6737, 0.0151)
Cl (0.6737, 0.3263, 0.0151)
Cl (0.6890, 0.3110, 0.2993)
Cl (0.7358, 0.2642, 0.6708)
Cl (0.7642, 0.7642, 0.1708)
Cl (0.8110, 0.8110, 0.7993)
Cl (0.8263, 0.8263, 0.5151)

Most intense lines, 2θ = 5–70°, sorted by position:
2θ/deg  Rel. int.  index
14.10  15  1 0 1
17.73  100  1 1 0
23.21  60  1 0 3
26.45  19  1 1 3
34.51  81  2 1 3
35.91  28  2 2 0
40.32  15  3 1 0
43.19  33  3 0 3
43.63  18  1 1 6
50.65  12  3 2 3
54.46  14  2 2 6
57.39  15  4 1 3

  5. Good Morning Suzan... I've been mulling this idea around myself on a project I have on my "list" to do!!
    Your table looks great!!
    They have those industrial style stools at target rather inexpensively..... just suggesting..
    Have a good day.. Vicki

  6. Love casters. Your island looks so cute in front of the hutch and against the floor! I like a stone "board" on the island too, it prevents damage to the wood. My spouse installed casters to a coffee table, on doors that we wanted to slide, and we left them on the back legs of the "cabinets" beside the stove. I hope your ceiling project goes smoothly.

  7. great idea. and I think it's a good idea John didn't hear you mention an umbrella. hahaha

  8. I'll tell you what is exciting (out of your cute kitchen table addition)-your new floor that replaced that God-awful (sorry) one you put down before. lol It looks GREAT!!!! xo Diana

  9. Caster were a great idea. Easy and effective (and it makes for moving things a cinch too). Well done. :)

  10. What a great idea, Suzan. I love that little table. It`s soooo cute.
    Wish you two a happy weekend. (What ARE you doing with the ceiling)?

  11. I'd like to add wheels to all our furniture. LOL Easy to move and easy to clean around! I love your happy kitchen. Please don't fall and break your neck working on that ceiling.

  12. Great timing on this post , I want to turn my harvest table into an island with stools. And I did not know how to add the wheels if there were no holes already in the legs, and know I know how to do it. Thank you my dear. Now I just need John to build me a shelf on the bottom for storage lol I love how much use you get out of yours, thanks for the great ideas. I love the checkerboard floor, it looks amazing. And your kitchen is stunning, what a transformation. hugs Tobey

  13. I have got to go back and find your previous floor. I must have missed that post. I love your table Suzan! So pretty. I like the idea of being able to move it around easily.

  14. Much better!

    Do you know what those fittings are called? I've been looking for something like it for weeks and the only thing I could come up with are T-Nuts and they wouldn't hold up very well.

  15. It looks awesome! I figure if it makes it more useful then just do it!!! We have far too many dust collectors in this world already!

  16. Love the table and what a great idea to put casters on it.

  17. How much height did it add? I want to do something similar for my craft room and I need my kitchen table to go to counter height. I already have the stools, my neighbour was throwing them out. Jules was 'thrilled when I put them in the garage to paint (2 years ago) once I heighten the table I am sure I will paint them ;)

  18. I want to do something like that on a piece in my kitchen, not to add height, but because it'll be easier to move and now, thanks to you, I know how to do it! The table is lovely to begin with... And John, please remember even Antiques are allowed to have a life!

  19. Looks amazing. That table is great, I love how it folds out...very nice!

  20. Suzan -
    this is clever, functional and adorable! Just like you. ;)
    love and blessings~
    Lynda @ Gates of Crystal

  21. I never would have thought of casters. This is why I love blogging so much. Islands are great. I was totally using mine for storing things I rarely used until I looked at an island on another blog and realized she had all the things she needed right there on the shelf below and my everyday necessities were across the room in a cabinet. I long ago gave up trying to think like normal people. Now I just copy them.

    Happy Weekend!


  22. I get the biggest kick out of reading your blog. I haven't been on your blog in too long. Had a sick pc and lost mucho. You and your hubs sound like mine and me. He'll say something once in awhile about me ever growing up (I'm 73) and acting like somebody my age. Why in the world would I want to do that, how boring life would be, for him and me, lol. We can't do much else cause we don't have enuf money but we can have fun in life. I refuse to grow up, it sucks as my then 19 yr. old son told me after he moved out and had to pay all his own bills. Tell me about it. He also told me he didn't know why in the heck I had 4 kids, was I crazy? He'll be 50 on May 1st. Poor kid. I have to subscribe to your blog again, love reading what you called nonsense, I call it fun. Happy Spring

  23. You turned it into a very functional table, Suzan! LOVE that it opens up - so cool!

  24. It's just what you needed, not only the perfect height, but moveable, too.
    Debbie :)


Due to a large amount of spam ( that I'm tired of going back to posts and deleting ) I'll be using comment moderation from now on !!!
Can I beat these spammers at their own game? Probably not - but I'm going
to try my damnedest !!!